PhD theses in LNM (and the former LWV):

Thesis title
Choi KwanghoonInflight Drying Process of Micro-Droplet to Improve the 3D Printing Resolution
Andrea CavaliereThermophysical characterization of SiC ceramic-matrix-composite cladding with laser-based contactless approach
Puyi GaoExperimental assessment of fracture initiation and micro-crack arrest toughness on RPV steel
Dongyan JiangEmbrittlement assessment and Master-Curve application on inhomogeneous RPV steels with sub-sized and non-standard specimens
Adrianna MackiewiczMechanistic studies on the effect of Zn water chemistry on the oxidation and stress corrosion cracking behaviour of LWR structural materials
Okan YetikNeutron radiography investigation of hydrides redistribution in active zirconium claddings
Anna NastruzziStudy on mechanism of irradiation creep by using in-situ strain testing, ex-situ TEM observation and SIMS trace diffusion measurement
Thesis title
Shaileyee BhattacharyaAtomic level insight into irradiation effects in nuclear fuel materials2024
Elif Cansu KursunMicroscopic Digital Image Correlation Analysis of Strain Distributions in Stainless Steel 316L Induced by Multiaxial Cyclic Loading2023
Francesco FagnoniHydrogen enhanced localized plasticity in zirconium-based nuclear fuel clads2023
Aaron ColldeweihDelayed Hydride Cracking in Irradiated and Unirradiated Zircaloy-2 Cladding2022
Cui LijuanAPT/TEM characterization of the element segregation in ferritic/martensitic steels after irradiation in SINQ2021
Jonathan HawesThe causes of increased hydrogen uptake of zirconium based fuel claddings at high burnup2020
Wen ChenExperimental evaluation and modeling of fatigue of a 316L austenitic stainless steel in high-temperature water and air environments2020
Adrienn BarisIncreased Hydrogen uptake of Zirconium based claddings at high burnup2019
Zaiqing QueHigh-Temperature Water Effects on the Fracture Behaviour of Low-Alloy Reactor Pressure Vessel Steels2019
Jemila HabainyCharacterisation of mechanical and thermal properties of tungsten for high power spallation target application2018
Loïc FaveInvestigation of the thermal conductivity of SiC/SiC cladding before and after irradiation2017
Serafin KnitelFracture of tempered martensitic and ODS steel2018
Ignasi Villacampa RosésThe effects of helium on IASC2017
Unrelated to this article: molecular data >
........
(1)
64
Properties=species:S:1:pos:R:3 method="wB97M-V/def2-TZVPD" total_charge=+1 relative_energy_kj_mol=11.9 e_tot_ev=-71059.0986
Pd 0.97625 0.32317 -0.66964
C 1.41336 -1.69683 2.45475
C 0.27243 -0.90000 2.93116
C 0.47560 0.38523 2.55512
C 1.79953 0.41832 1.82209
C 2.32788 -0.88921 1.77827
C 3.66669 -1.25617 1.23167
C 2.60619 1.64388 1.65626
C -0.32948 1.58903 2.85430
C -0.86716 -1.49574 3.67842
C 1.55549 -3.13791 2.74062
H 3.77184 -2.33160 1.09089
H 4.46550 -0.94451 1.90958
H 3.83330 -0.74816 0.27871
H 3.28428 1.57827 0.80557
H 3.21492 1.73422 2.56736
H 1.99379 2.53892 1.58267
H -0.67080 2.07419 1.93710
H 0.26086 2.32073 3.41367
H -1.21218 1.33830 3.43636
H -1.48653 -2.09634 3.00718
H -1.50410 -0.73035 4.11394
H -0.51912 -2.15029 4.47950
H 1.66863 -3.28478 3.81983
H 2.40825 -3.59049 2.24216
H 0.63910 -3.66669 2.46412
N 1.23616 -1.72142 -1.08526
C 1.75426 -2.06405 -2.44211
C 3.02417 -1.27786 -2.76287
C 2.67406 0.19702 -2.62131
O 2.17305 0.80495 -3.54207
O 2.81960 0.66327 -1.39030
H 1.82471 -2.15519 -0.38112
H 0.29394 -2.09101 -0.96109
H 0.97872 -1.81378 -3.16385
H 1.93478 -3.13881 -2.50174
H 3.31649 -1.48342 -3.79099
H 3.83687 -1.55878 -2.09228
O -0.83594 -0.02625 -0.00170
C -1.86000 0.65611 -0.71463
C -2.86636 1.16929 0.29158
C -3.42543 2.40840 0.38350
C -4.31322 2.53558 1.48673
C -4.39685 1.39172 2.21724
S -3.42017 0.14925 1.56150
C -2.47265 -0.28627 -1.73881
C -1.83430 -0.80064 -2.83409
C -2.64362 -1.69955 -3.57533
C -3.88311 -1.84344 -3.02778
S -4.07268 -0.88869 -1.62779
C -1.21411 1.82117 -1.44666
C -1.34529 2.31515 -2.68971
C -0.31088 3.25908 -3.04392
C 0.61555 3.42724 -2.08396
S 0.18111 2.53959 -0.65716
H -3.21717 3.20327 -0.31934
H -4.85794 3.43699 1.72476
H -4.99258 1.20883 3.09689
H -0.83208 -0.50891 -3.12353
H -2.32656 -2.20279 -4.47716
H -4.69858 -2.45214 -3.38313
H -2.11729 1.99048 -3.37222
H -0.26505 3.75993 -3.99951
H 1.49384 4.05045 -2.09248

=====

(2)
68
Properties=species:S:1:pos:R:3 method="wB97M-V/def2-TZVPD" total_charge=+2 relative_energy_kj_mol=83.3 e_tot_ev=-116410.7409
Au -0.14336 -0.23464 -0.13484
C 0.35216 2.41944 1.32803
N 0.74955 1.66526 0.10710
C 2.21089 1.57650 -0.10202
C 2.68755 0.27297 0.43108
N 1.85665 -0.73871 0.59724
C 2.61767 -1.80662 1.08299
C 2.26142 -3.09146 1.47722
C 3.26655 -3.91785 1.93234
C 4.59872 -3.48044 2.00693
C 4.96185 -2.20219 1.64155
C 3.94000 -1.37868 1.18281
N 3.94141 -0.04999 0.76665
C -0.74819 1.74410 2.08534
N -0.97652 0.45805 1.98046
C -1.97949 0.17226 2.90536
C -2.57139 -1.03717 3.26607
C -3.53485 -1.00808 4.25233
C -3.90334 0.19335 4.88075
C -3.30944 1.39446 4.55358
C -2.34126 1.35162 3.55665
N -1.53173 2.34131 3.00414
H 0.06270 3.43073 1.03511
H 1.22167 2.50315 1.98310
H 0.35449 2.12298 -0.74255
H 2.72182 2.41751 0.36959
H 2.39355 1.63617 -1.17814
H 1.23641 -3.42010 1.44755
H 3.02974 -4.92406 2.24913
H 5.35583 -4.16088 2.37080
H 5.98566 -1.86250 1.71382
H 4.74194 0.56058 0.71695
H -2.26551 -1.97278 2.81360
H -4.00955 -1.92845 4.56300
H -4.66258 0.17157 5.65003
........
Juxing BaiThe effect of hydrogen on the SCC crack initiation and short crack growth. behaviour of Alloy 182 weld metal under BWR/HWC conditions2017
Nicolò GrilliConstitutive modeling for crystal plasticity finite element computation of cyclic plasticity in fatigue2016
Kun WangEmbrittlement induced by the Synergistic Effects of Radiation Damage and Helium in Structural Materials2015
Christiane ViehHardening induced by synergistic effects of radiation damage and helium in structural materials2015
Cyprian MieszczynskiAtomic scale structural modifications in irradiated nuclear fuels2014
Wenwang WuFree surface effects in TEM imaging of dislocation lines and loops in Fe2014
Giacomo FacherisCyclic plastic material behaviour leading to crack Initiation in stainless steel under complex fatigue loading conditions2014
Andi IdhilThe effect of Cr composition on the local atomic and magnetic structure of pristine and ion-irradiated FeCr alloys2013
Maria Cabanes SempereInnovative production of nuclear fuel by microwave internal gelation2013
Per MagnussonCreep Properties and Related Microstructural Changes of a Lamellar Titanium Aluminide Alloy before and after Helium-Implantation2012
Mathias BreimesserEstablishment and Interpretation of Correlations between Macroscopic Electrochemical Noise and Signals from Microscopic Stress Corrosion Initiation Events by a Novel Micro-Electrochemical Approach2012
Andrey OrlovCorrosion product deposition on fuel element surfaces of a boiling water reactor2012
Christian ProffMicrostructural Aspects of the Oxidation of Zirconium Alloys2012
Ning GaoMolecular Dynamics Simulations of Helium Atoms Clustering in bcc Iron2011
Mageshwaran RameshThermomechanical Fatigue Behavior of Austenitic Stainless Steels2010
Sebastiano CammelliInvestigation of clusters and precipitates in reactor pressure vessel steels by X-ray absorption spectroscopy2009
Paul BlairModelling of fission gas behaviour in high burnup nuclear fuel2008
Mathias HorvathDevelopment of a method for Xenon determination in the microstructure of high burn-up nuclear fuel2007
Raluca StoenescuEffects of Neutron Irradiation on the Microstructure and Mechanical Properties of the Affected Zone of Stainless Steel Welds2005
Emilio CampitelliAssessment of Mechanical Properties in Unirradiated and Irradiated Zircaloys and Finite Element Calculations2005
Marco StreitFabrication and Characterisation of (Pu,Zr)N Fuels2004
Jian ChenA Non-local Damage Model for Elasto-plastic Materials Based on Gradient Plasticity Theory2001
Ralph MünchApplication of the electrochemical impedance spectroscopy method to the study of the growth of zircalloy-oxides at high temperature and high pressure2000
Manuel PouchonContribution to the Study of Zirconia-based Nuclear Fuel for Plutonium Use in Light Water Reactor1999
Claude BailatThe effect of light water reactor irradiation conditions of the microstructure and mechanical properties of stainless steel1999
Helena LonerEinflüsse der Wasserinhaltsstoffe auf den Aktivitätstransport im Wasserkreislauf eines Siedewasserreaktors1995
Irene MäilandStrukturelle und elektronische Eigenschaften der unter Heißwassereinwirkung auf Chrom-Nickel-Stahl gebildeten Spinelloxide - Elektrochemische Impedanzspektroskopie, Mott-Schottky-Analyse und Photoelektrochemie an Oxidschichten des austenitischen Chrom-Nickel-Stahls (1.4571)1995